Defend Truth

The Membership Puzzle and Daily Maverick audience engagement and membership workshop

If you work in an African news organization and you’re exploring how to deepen relationships with your audience members, we hope you’ll join the Membership Puzzle Project and Daily Maverick for a workshop on audience engagement and membership models on Aug. 21 & 22, in Cape Town.

Journalism is evolving and membership models are helping news organisations improve through community building and generating revenue. This workshop will give you the inspiration, tools, and thought partners you need to begin and succeed at this work.

Who we are:

The Membership Puzzle Project is a public research project at New York University studying how to optimize a news organization for trust, primarily through membership in its many forms. They run the Membership in News Fund, which supports promising experiments in membership around the world. Daily Maverick is one of their grantees and together are hosting this workshop.

Daily Maverick is an independent news, analysis and investigative digital publisher based in South Africa. In August 2018,  DM launched Maverick Insider, a membership program and less than a year later, have gained more than 7,000 paying members. DM has also launched new editorial products that have deepened their relationship with their readers.

What we have planned: 

The agenda is a work in progress, but expect sessions on the following:

  • The state of membership worldwide
  • An in-depth look at Year One of the Daily Maverick’s Maverick Insider membership program
  • Catalyst talks highlighting inspiring audience engagement projects from around the world
  • How to do your own audience research
  • How to develop and grow newsletters – and use them to support audience revenue
  • How to develop your own membership offering
  • The tech and human resources needed to run a membership program
  • Open times on the schedule for attendees to pitch discussions on topics of their choosing

Both days will begin at 9 a.m. The first day will conclude around 5 p.m. and the second day will conclude in the early afternoon. Breakfast and lunch will be provided both days.

Additionally, the Daily Maverick will be celebrating the first anniversary of Maverick Insiders on the evening of Aug. 21 with its Cape Town members. All participants are invited to attend the celebration at the Zeitz Museum of Contemporary Art for free. Transportation from the workshop to the event will be provided. 

The venue 

Inserted here: quantum chemistry results >
-- begin --
[1]
This record from the OMol25 dataset describes a molecular structure, C41H40N6O2P2Rb. The level of theory is the ωB97M-V functional and the def2-TZVPD basis.

Properties
Charge   -1
Energy relative to the best compared isomer or geometry (same formula, charge and spin)   14.4 kJ/mol
Spin multiplicity   1
Frontier orbital gap   6.401 eV
Calculated total energy   -2772.25648 Eh
F_max   0.52 eV/A

The geometry in XYZ format:
```
92
Properties=species:S:1:pos:R:3:lowdin_charge:R:1
Rb 0.26 -0.25 -0.57 0.854
C -2.15 2.77 2.81 -0.326
N -3.10 1.80 3.29 -0.161
C -3.44 0.64 2.48 -0.286
P -2.07 -0.71 1.91 0.984
C -0.90 -0.31 3.28 -0.351
C -1.32 -0.20 4.60 -0.099
C -0.46 0.23 5.61 -0.075
C 0.85 0.55 5.31 -0.098
C 1.30 0.41 4.00 -0.093
C 0.44 -0.02 3.01 -0.138
C -3.07 -2.09 2.57 -0.349
C -4.31 -2.36 1.98 -0.107
C -5.11 -3.40 2.43 -0.102
C -4.68 -4.21 3.48 -0.113
C -3.45 -3.96 4.06 -0.090
C -2.65 -2.92 3.61 -0.096
C -3.60 1.98 4.56 -0.234
C -4.52 1.08 5.15 -0.042
C -5.00 1.29 6.43 -0.106
C -4.62 2.39 7.19 -0.130
C -3.72 3.28 6.62 -0.111
C -3.22 3.09 5.35 -0.038
P -1.37 2.49 1.15 1.053
C -2.72 2.78 -0.06 -0.385
C -2.60 2.16 -1.30 -0.122
C -3.57 2.35 -2.28 -0.078
C -4.68 3.13 -2.01 -0.090
C -4.83 3.72 -0.76 -0.082
C -3.85 3.55 0.21 -0.095
C -0.43 4.05 1.11 -0.372
C -0.81 5.20 0.42 -0.086
C 0.01 6.32 0.41 -0.089
C 1.21 6.31 1.10 -0.098
C 1.59 5.17 1.80 -0.086
C 0.78 4.05 1.80 -0.099
H -1.27 2.81 3.47 0.094
H -2.58 3.78 2.83 0.088
H -3.83 0.99 1.52 0.056
H -4.27 0.13 2.96 0.042
H -2.34 -0.44 4.86 0.098
H -0.84 0.32 6.62 0.103
H 1.52 0.89 6.09 0.094
H 2.34 0.64 3.76 0.101
H 0.83 -0.14 2.00 0.047
H -4.66 -1.75 1.16 0.104
H -6.07 -3.58 1.95 0.094
H -5.30 -5.02 3.83 0.091
H -3.10 -4.59 4.87 0.097
H -1.69 -2.74 4.08 0.097
H -4.84 0.20 4.63 0.093
H -5.70 0.56 6.83 0.098
H -5.01 2.54 8.19 0.087
H -3.39 4.15 7.18 0.096
H -2.51 3.81 4.97 0.087
H -1.73 1.55 -1.52 0.050
H -3.45 1.87 -3.24 0.106
H -5.45 3.26 -2.76 0.099
H -5.71 4.32 -0.54 0.101
H -3.97 4.01 1.18 0.105
H -1.75 5.21 -0.13 0.097
H -0.29 7.20 -0.15 0.099
H 1.85 7.18 1.09 0.096
H 2.53 5.16 2.34 0.100
H 1.09 3.16 2.33 0.097
C 3.75 3.85 -3.23 -0.050
N 2.41 3.58 -2.77 -0.123
C 1.26 4.22 -3.15 -0.073
C 0.24 3.58 -2.50 -0.159
N 0.74 2.55 -1.74 0.011
C 2.04 2.58 -1.94 -0.188
H 3.88 3.50 -4.25 0.075
H 4.45 3.31 -2.61 0.078
H 3.95 4.92 -3.16 0.084
H 1.26 5.07 -3.81 0.111
H -0.81 3.81 -2.53 0.088
H 2.77 1.88 -1.56 0.120
N 3.19 -3.48 -1.81 0.159
C 3.13 -2.15 -2.13 -0.552
O 2.43 -1.39 -1.43 -0.217
C 3.89 -1.70 -3.25 -0.223
C 4.61 -2.62 -4.03 -0.274
N 5.19 -3.44 -4.62 0.097
C 3.97 -0.32 -3.52 -0.220
N 4.02 0.81 -3.74 0.144
H 2.50 -3.79 -1.14 0.096
H 3.60 -4.14 -2.44 0.082
C 0.11 -3.07 1.86 -0.299
O -0.63 -2.10 1.21 -0.631
H -0.47 -3.98 2.10 0.062
H 0.54 -2.72 2.82 0.063
H 0.97 -3.41 1.26 0.057
```


[2]
This record from the OMol25 dataset describes 20 unconnected molecules or ions with the total composition C10H51BNO22 at a distorted geometry. The level of theory is the ωB97M-V functional and the def2-TZVPD basis.
-- stop --
Here the text continues >

The workshop will be held at the President’s Hotel in Bantry Bay, Cape Town. 

For those who are coming from out of town, we have secured discounted rooms and apartments at two locations.

Who can attend?

Misplaced records of molecules:
- - -
10
Properties=species:S:1:pos:R:3:forces:R:3 method="wB97M-V/def2-TZVPD" relative_energy_kj_mol=42.13 molar_mass_g_mol=106.5 gap_ha=0.36594 smiles="C=C/C=C(/F)Cl" homo_ev=-9.22
C 0.03178 -0.41426 -0.60311 0.5197 -0.3138 -2.3934
C -0.99552 -0.13360 0.18888 0.9950 -0.3067 1.3821
C -0.82018 0.61426 1.48820 -1.5472 -0.2762 -0.7663
C -1.83511 1.08010 2.24004 2.7420 0.7740 1.2178
H -1.90664 -0.68259 -0.12317 0.3634 0.9150 0.4027
H 0.18499 0.84032 1.83023 0.0117 -0.0365 -0.4241
H -1.48222 1.71702 3.11664 -0.9364 -0.9939 -1.0725
H -2.87002 0.89255 2.13140 -0.8113 -0.0908 -0.4046
F -0.25143 -1.04865 -1.81387 0.4816 0.5228 1.5800
Cl 1.76771 -0.01226 -0.61849 -1.8185 -0.1939 0.4782


49
Properties=species:S:1:pos:R:3:forces:R:3 method="wB97M-V/def2-TZVPD" relative_energy_kj_mol=55.62 molar_mass_g_mol=555.5 gap_ha=0.27743 homo_ev=-7.38
Pd 0.11821 -0.40268 0.63144 -0.6431 0.6046 -0.9742
C 3.13600 0.59801 -0.91973 -0.1212 -0.0650 -0.0291
N 2.62228 -0.57877 -0.23188 0.4106 -0.0603 -0.0471
C 3.35248 -0.76920 1.01569 -0.0648 0.0231 -0.0632
C 2.69369 -1.76220 -1.07420 -0.0981 0.0613 0.0639
C 1.74741 -2.86420 -0.62116 -0.0317 -0.0021 -0.0619
N 0.32359 -2.48779 -0.63233 0.2053 0.1015 0.2669
C -0.12307 -2.23181 -2.00072 -0.0610 0.0259 -0.0405
C -0.45593 -3.58941 -0.06917 -0.0004 -0.0224 -0.0185
H 4.20131 0.49300 -1.17833 0.0000 0.0168 -0.0036
H 3.01069 1.47256 -0.28277 -0.0022 0.0063 0.0169
H 2.56803 0.76423 -1.83652 0.0105 0.0047 -0.0025
H 4.43119 -0.89887 0.83422 0.0047 -0.0086 0.0192
H 2.98107 -1.64152 1.55157 -0.0091 -0.0152 0.0020
H 3.20458 0.09843 1.65768 0.0008 0.0232 0.0038
H 3.71540 -2.17485 -1.10352 -0.0011 -0.0311 -0.0109
H 2.44962 -1.47193 -2.09748 0.0031 0.0101 0.0047
H 1.99465 -3.19012 0.38994 0.0032 0.0348 0.0304
H 1.89759 -3.73042 -1.28313 -0.0024 -0.0405 0.0193
H 0.15917 -3.05952 -2.66613 -0.0062 -0.0045 -0.0009
H 0.29993 -1.30449 -2.38166 0.0188 -0.0065 0.0111
H -1.20753 -2.13939 -2.01520 -0.0066 -0.0053 0.0128
H -0.33047 -4.50842 -0.65785 0.0193 0.0002 -0.0055
H -1.50990 -3.32208 -0.04951 -0.0020 -0.0014 -0.0022
H -0.13179 -3.78419 0.95250 -0.0210 -0.0192 0.0025
I -2.07761 -1.27195 2.22803 -0.2871 -0.2376 0.3865
C 0.06754 -1.19475 2.36882 0.2697 -0.2573 0.4726
H 0.42948 -2.21618 2.47291 0.0864 0.0365 0.0987
H 0.31730 -0.54592 3.20042 0.0412 -0.1253 0.1057
C -1.00079 1.79643 -1.65224 -0.1481 -0.1539 -0.1168
As -1.36250 2.50873 1.04965 0.2481 0.2338 0.0976
C -2.54347 2.39583 2.56196 -0.0855 -0.0382 -0.0379
C -1.34236 4.38424 0.62851 0.0353 0.0083 0.0007
S 0.61473 1.84435 1.54010 -0.1140 -0.3634 -0.0312
H -0.01109 2.20959 -1.49385 0.0335 0.0123 0.0244
H -1.84411 -0.08148 -1.49330 -0.0526 -0.0119 0.0073
H -1.40781 1.89939 -2.65115 0.0111 -0.0246 -0.0063
H -3.51255 2.02407 2.23630 0.0114 -0.0035 -0.0324
H -2.63853 3.40287 2.96270 -0.0192 0.0022 0.0616
H -2.09861 1.73291 3.29590 -0.0294 -0.0143 0.0375
H -2.36872 4.70465 0.45510 0.0012 -0.0074 0.0192
H -0.75657 4.53726 -0.27463 0.0302 0.0014 0.0069
H -0.89662 4.92588 1.45946 -0.0093 0.0562 0.0005
- - -

Registration is open to any staff member of an African news organization, but in order to make this a fairly hands-on workshop, we are planning to limit attendance to 60 people. We ask that each news organization send no more than two people.

It is our mutual belief that you do not have to be a startup or an organization with a membership program to find this workshop helpful. The skill of designing for community and getting closer to audience members will be beneficial for any news organization trying to figure out a sustainable business model in 2019.

Interested in joining us? 

Register for the conference here. If you have any questions, please email Ariel at [email protected] and Fran Beighton at [email protected].

We will keep this page updated in the coming weeks with additional logistical information. We’ll also e-mail that information to registered participants.

[Next to the article, the page also holds calculated molecules]
........
# 1
82
Properties=species:S:1:pos:R:3:forces:R:3 method="wB97M-V/def2-TZVPD" charge=+1 fmax_ha_per_bohr=0.1715 e_homo_ev=-10.91 total_energy_ev=-100432.6940 orbital_gap_ha=0.20926
C 3.08893 -2.53052 -2.43572 -1.344 -0.299 0.386
C 1.75116 -1.97702 -1.59726 -1.226 0.436 0.957
N 1.21391 -2.96132 -0.55890 -2.615 4.566 -0.318
C 0.00906 -2.61289 0.28206 0.198 2.951 -2.150
C -0.80438 -1.16581 0.07247 2.898 -1.298 -1.409
N -1.99391 -0.97433 0.99257 5.271 3.741 4.213
C -1.47660 -0.20866 2.04425 -0.092 0.243 -1.943
S -0.77500 0.89683 3.17762 -2.763 -4.282 -4.111
C -0.30045 -0.04230 -1.06084 2.242 -3.488 0.713
C -1.09292 1.36230 -1.31299 -1.124 4.981 -3.675
O -0.86753 2.27634 -2.25974 -0.435 -6.648 5.777
O -2.27355 1.69236 -0.44409 2.206 -2.164 -2.724
C -3.52509 1.60386 -1.21084 -2.293 0.200 -0.368
C -4.28504 0.15155 -1.14386 -1.786 1.379 1.331
C -5.89127 0.35575 -1.56461 0.358 -0.665 0.117
I -3.46704 -1.26643 -2.60674 0.028 0.425 0.784
C 1.05829 -0.48349 -1.89663 -1.508 -2.046 1.967
C 1.79727 0.42835 -3.01689 2.428 0.804 1.181
C 3.40419 0.84019 -2.35199 -1.350 3.361 0.457
C 3.34519 1.69528 -0.85204 2.152 -1.801 -1.559
O 3.74671 2.35495 -2.30981 0.280 -6.543 -0.708
H 2.99316 -3.71325 -2.44280 0.275 2.575 -0.078
H 3.01926 -2.12013 -3.53680 0.216 -0.873 2.309
H 4.09939 -2.23948 -1.92269 -2.110 -0.355 -0.876
H 1.66348 -3.90430 -0.37636 -0.505 1.573 -0.680
H -0.37914 -3.38026 1.09839 1.019 1.797 -2.038
H -4.27230 2.39584 -0.72161 1.799 -1.814 -0.817
H -3.44333 1.89790 -2.33997 0.342 -0.454 2.171
H -4.32312 -0.31216 -0.05196 0.669 0.961 -2.509
H -6.23899 1.46864 -1.37899 0.669 -2.398 -0.316
H -6.01949 0.04401 -2.68526 0.056 0.875 2.174
H -6.51440 -0.41379 -0.89785 1.283 1.925 -1.524
H 2.00648 -0.08404 -4.04817 -0.661 0.647 2.116
H 1.40178 1.50551 -3.18808 0.061 -2.196 0.607
H 4.31871 -0.00700 -2.50853 -2.535 2.813 0.553
H 4.11153 0.86581 -0.45687 0.235 1.400 -0.867
H 4.03016 2.54555 -0.48380 -2.323 -0.448 0.680
C -4.23782 2.89630 5.33920 0.053 0.162 0.217
C -5.15540 1.74311 5.74270 0.162 -0.213 0.259
C -6.43230 1.86087 4.91220 -0.305 -0.371 0.522
S -5.96616 2.67486 3.39174 -0.134 0.178 -0.210
O -6.61847 3.96643 3.34198 0.185 -0.595 -0.247
O -6.04206 1.72508 2.29967 -0.116 0.402 0.020
C -4.25381 2.92326 3.81809 0.534 0.146 0.105
H -3.22402 2.76382 5.72816 -0.136 0.055 -0.050
H -4.63282 3.83922 5.73582 0.101 -0.100 -0.086
H -4.65997 0.78928 5.52432 -0.060 0.122 0.028
H -5.37838 1.75922 6.81410 0.021 -0.034 -0.192
H -6.85556 0.87944 4.68381 -0.044 0.271 -0.111
H -7.17997 2.48163 5.41352 0.094 -0.027 -0.220
H -3.89801 3.86705 3.40137 -0.170 -0.124 -0.103
H -3.68121 2.08829 3.40338 -0.129 0.101 -0.019
C -0.96779 -6.70783 -3.91452 -0.175 -0.112 0.194
C -1.40003 -5.25301 -4.09136 -0.390 -0.002 -0.191
C -0.23684 -4.37096 -3.64074 -0.458 0.510 0.170
S 1.24890 -5.32397 -3.91642 -0.247 -0.201 -1.203
O 1.85454 -5.61428 -2.63382 0.307 0.288 0.205
O 1.99531 -4.73748 -5.01157 0.117 -0.050 0.849
C 0.43299 -6.79618 -4.50166 -0.173 -0.507 -0.076
........
[End of the calculated molecules]

Looking forward to seeing you in Cape Town.

The Membership Puzzle Project and Daily Maverick